### Wanted
It remains to count the lines underneath that contain the word "Cd1" and give the number alone.
### Material
<<<
(1)
# Sc2TcOs GGA-PBE relaxed
data_Sc2TcOs
_chemical_formula_sum 'Sc6 Tc3 Os3'
_cell_length_a 2.9918
_cell_length_b 2.9918
_cell_length_c 27.6402
_cell_angle_alpha 90.00
_cell_angle_beta 90.00
_cell_angle_gamma 120.00
_symmetry_space_group_name_H-M 'R -3 m'
_symmetry_Int_Tables_number 166
_symmetry_space_group_name_Hall '-R 3 2"'
loop_
_atom_site_label
_atom_site_fract_x
_atom_site_fract_y
_atom_site_fract_z
_atom_site_occupancy
Sc1 0.0000 0.0000 0.0910 1
Tc1 0.0000 0.0000 0.5000 1
Os1 0.0000 0.0000 0.0000 1
# crystal system = trigonal
# V = 17.9 Å³ per atom

(2)
# CaCd2Pd2 GGA-PBE relaxed
data_CaCd2Pd2
_chemical_formula_sum 'Ca2 Cd4 Pd4'
_cell_length_a 4.2150
_cell_length_b 4.2150
_cell_length_c 12.4983
_cell_angle_alpha 90.00
_cell_angle_beta 90.00
_cell_angle_gamma 90.00
_symmetry_space_group_name_H-M 'I 4/m m m'
_symmetry_Int_Tables_number 139
_symmetry_space_group_name_Hall '-I 4 2'
loop_
_atom_site_label
_atom_site_fract_x
_atom_site_fract_y
_atom_site_fract_z
_atom_site_occupancy
Ca1 0.0000 0.0000 0.0000 1
Cd1 0.0000 0.5000 0.2500 1
Pd1 0.0000 0.0000 0.3957 1
# crystal system = tetragonal
# V = 22.2 Å³ per atom

(3)
# Cs2LiAs GGA-PBE relaxed
data_Cs2LiAs
_chemical_formula_sum 'Cs8 Li4 As4'
_cell_length_a 11.3371
_cell_length_b 8.3540
_cell_length_c 6.5686
_cell_angle_alpha 90.00
_cell_angle_beta 90.00
_cell_angle_gamma 90.00
_symmetry_space_group_name_H-M 'C m c m'
_symmetry_Int_Tables_number 63
_symmetry_space_group_name_Hall '-C 2c 2'
loop_
_atom_site_label
_atom_site_fract_x
_atom_site_fract_y
_atom_site_fract_z
_atom_site_occupancy
Cs1 0.1675 0.1418 0.2500 1
Li1 0.0000 0.5000 0.0000 1
As1 0.0000 0.2716 0.7500 1
# crystal system = orthorhombic
# V = 38.9 Å³ per atom

E_form across the listed records, respectively: 382, -449, -420 meV per atom.
E_tot across the listed records, respectively: -98.2, -32.9, -39.8 eV per cell.


# PBE LaDy2Sn, relaxed
# Total magnetization = 0.4 μB/f.u.
# Energy above the most stable polymorph in this dataset = 0 meV per atom
# Uncorrected energy = -4.9692 eV per atom
# Energy of formation = -0.44 eV per atom
# Calculated volume = 32.08 Å³/atom
data_LaDy2Sn
_chemical_formula_sum 'La2 Dy4 Sn2'
_symmetry_space_group_name_H-M 'P 1'
_symmetry_Int_Tables_number 1
_cell_length_a 4.735
_cell_length_b 4.791
_cell_length_c 11.557
_cell_angle_alpha 90.00
_cell_angle_beta 101.78
_cell_angle_gamma 90.00
loop_
_symmetry_equiv_pos_as_xyz
'x,y,z'
loop_
_atom_site_label
_atom_site_type_symbol
_atom_site_fract_x
_atom_site_fract_y
_atom_site_fract_z
La1 La 0.193 0.250 0.386
La2 La 0.807 0.750 0.614
Dy1 Dy 0.057 0.750 0.114
Dy2 Dy 0.437 0.750 0.874
Dy3 Dy 0.563 0.250 0.126
Dy4 Dy 0.943 0.250 0.886
Sn1 Sn 0.340 0.250 0.680
Sn2 Sn 0.660 0.750 0.320

---

# PBE La3Dy2Sn3, relaxed
# Total magnetization = 0.5 μB/f.u.
# Uncorrected energy = -5.2075 eV per atom
# Energy of formation = -0.71 eV per atom
# Calculated volume = 31.74 Å³/atom
data_La3Dy2Sn3
_chemical_formula_sum 'La6 Dy4 Sn6'
_symmetry_space_group_name_H-M 'P 1'
_symmetry_Int_Tables_number 1
_cell_length_a 9.330
_cell_length_b 9.330
_cell_length_c 6.737
_cell_angle_alpha 90.00
_cell_angle_beta 90.00
_cell_angle_gamma 120.00
loop_
_symmetry_equiv_pos_as_xyz
'x,y,z'
loop_
_atom_site_label
_atom_site_type_symbol
_atom_site_fract_x
_atom_site_fract_y
_atom_site_fract_z
La1 La 0.000 0.246 0.250
La2 La 0.000 0.754 0.750
La3 La 0.246 0.000 0.250
La4 La 0.246 0.246 0.750
La5 La 0.754 0.000 0.750
La6 La 0.754 0.754 0.250
Dy1 Dy 0.333 0.667 0.000
Dy2 Dy 0.333 0.667 0.500
Dy3 Dy 0.667 0.333 0.000
Dy4 Dy 0.667 0.333 0.500
Sn1 Sn 0.000 0.398 0.750
Sn2 Sn 0.000 0.602 0.250
Sn3 Sn 0.398 0.000 0.750
Sn4 Sn 0.398 0.398 0.250
Sn5 Sn 0.602 0.000 0.250
Sn6 Sn 0.602 0.602 0.750

---

# PBE LaDySn, relaxed
# Total magnetization = 0.0 μB/f.u.
# Energy above the most stable polymorph in this dataset = 229 meV per atom
# Uncorrected energy = -4.9174 eV per atom
# Energy of formation = -0.41 eV per atom
# Calculated volume = 32.13 Å³/atom
data_LaDySn
>>>
### Here it is
1